Wednesday, October 14, 2009


We have been in a campground in Gettysburg, PA this week, and have had a chance to spend a day at the Visitors Center and Museum. The exterior of the structure is kind of hodge podge, but the museum is simply awesome.

Inside is a cyclorama of the battle. Cycloramas were very popular in the 1890s, and basically were huge paintings in the round, so the viewer would stand in the middle of a circular room, with the painting on the wall. The viewer can turn around 360 degrees and see the continuous art work.

The Gettysburg Cyclorama is 42 feet high and over 350 feet in circumference! Longer than a football field!!!! It was originally displayed in boston, MA. The restoration of this magnificent painting was completed in 2008. Just below the circular viewing platform are actual artifacts, (cannons, rifles, etc.) and landforms to aid in the 3 dimensional effect. By the way, the painting is amazing in its 3D illusion.

We did an audio tour of the battlefield yesterday, which took in most of the 25 square miles of the ground around the town. Here one of the Confederate Napoleon cannons on Seminary Ridge.

The following is a DFT calculation (PBE-GGA) of RbSnAu3O4 after structural relaxation.

Computed properties:
Space-group type: P-43m (215)
DFT total energy: -0.3007 Ry/atom

Cell and atoms, written as POSCAR:
```
RbSnAu3O4
1.0
5.821 0.000 0.000
0.000 5.821 0.000
0.000 0.000 5.821
Rb Sn Au O
1 1 3 4
Direct
0.000 0.000 0.000 Rb
0.500 0.500 0.500 Sn
0.000 0.500 0.500 Au
0.500 0.000 0.500 Au
0.500 0.500 0.000 Au
0.299 0.299 0.299 O
0.299 0.701 0.701 O
0.701 0.299 0.701 O
0.701 0.701 0.299 O
```

----------

A:
Entry from Alexandria: a geometry-optimized Ga4B2O9 structure (PBE).

Values from the calculation:
M_tot, μB/cell: 0.06
Calculated volume, A^3/atom: 11.74

The structure in CIF format:
```
data_Ga4B2O9
_cell_length_a 8.204
_cell_length_b 8.204
_cell_length_c 10.986
_cell_angle_alpha 130.46
_cell_angle_beta 130.46
_cell_angle_gamma 41.38
_space_group_name_H-M_alt 'P 1'
_space_group_IT_number 1
loop_
_space_group_symop_operation_xyz
'x,y,z'
loop_
_atom_site_label
_atom_site_type_symbol
_atom_site_fract_x
_atom_site_fract_y
_atom_site_fract_z
Ga1 Ga 0.000 0.000 0.000
Ga2 Ga 0.011 0.011 0.555
Ga3 Ga 0.145 0.145 0.455
Ga4 Ga 0.489 0.991 0.322
Ga5 Ga 0.491 0.996 0.830
Ga6 Ga 0.817 0.817 0.163
Ga7 Ga 0.991 0.489 0.322
Ga8 Ga 0.996 0.491 0.830
B1 B 0.204 0.204 0.043
B2 B 0.489 0.489 0.597
B3 B 0.490 0.490 0.035
B4 B 0.725 0.725 0.559
O1 O 0.046 0.470 0.162
O2 O 0.074 0.074 0.927
O3 O 0.126 0.126 0.245
O4 O 0.191 0.191 0.672
O5 O 0.218 0.633 0.962
O6 O 0.247 0.247 0.955
O7 O 0.351 0.759 0.659
O8 O 0.364 0.364 0.478
O9 O 0.470 0.046 0.162
O10 O 0.508 0.921 0.484
O11 O 0.612 0.612 0.172
O12 O 0.633 0.218 0.962
O13 O 0.747 0.747 0.703
O14 O 0.759 0.351 0.659
O15 O 0.785 0.785 0.969
O16 O 0.846 0.846 0.424
O17 O 0.921 0.508 0.484
O18 O 0.986 0.986 0.356
```

B:
Entry from Alexandria: a geometry-optimized Ga4B2O9 structure (PBE).

Values from the calculation:
M_tot, μB/cell: 0.00
Calculated volume, A^3/atom: 12.36

The structure in CIF format:
```
data_Ga4B2O9
_cell_length_a 8.492
_cell_length_b 8.492
_cell_length_c 11.309
_cell_angle_alpha 130.88
_cell_angle_beta 130.88
_cell_angle_gamma 39.19
_space_group_name_H-M_alt 'P 1'
_space_group_IT_number 1
loop_
_space_group_symop_operation_xyz
'x,y,z'
loop_
_atom_site_label
_atom_site_type_symbol
_atom_site_fract_x
_atom_site_fract_y
_atom_site_fract_z
Ga1 Ga 0.000 0.500 0.000
Ga2 Ga 0.000 0.500 0.500
Ga3 Ga 0.003 0.003 0.263
Ga4 Ga 0.131 0.131 0.136
Ga5 Ga 0.500 0.000 0.000
Ga6 Ga 0.500 0.000 0.500
Ga7 Ga 0.869 0.869 0.864
Ga8 Ga 0.997 0.997 0.737
B1 B 0.290 0.290 0.788
B2 B 0.495 0.495 0.296
B3 B 0.505 0.505 0.704
B4 B 0.710 0.710 0.212
O1 O 0.004 0.004 0.902
O2 O 0.086 0.514 0.858
O3 O 0.156 0.156 0.872
O4 O 0.210 0.210 0.367
O5 O 0.231 0.648 0.632
O6 O 0.273 0.273 0.649
O7 O 0.352 0.769 0.368
O8 O 0.375 0.375 0.163
O9 O 0.486 0.914 0.142
O10 O 0.514 0.086 0.858
O11 O 0.625 0.625 0.837
O12 O 0.648 0.231 0.632
O13 O 0.727 0.727 0.351
O14 O 0.769 0.352 0.368
O15 O 0.790 0.790 0.633
O16 O 0.844 0.844 0.128

This is the magnificent Pennsylvania Monument, which lists every one of the 34,000 plus Pennsylvania soldiers that fought here.

The Virginia Monument features Robert E. Lee on his steed Traveler, and is located on Seminary Ridge, where the ill advised Pickett's Charge was begun.

There are monuments everywhere, for individual officers, states, brigades, divisions, and on and on.

This is a humbling experience, walking the ground where thousands of men were killed or wounded.

Wednesday, October 7, 2009


We made a day trip to Cleveland to see the Rock and Roll Hall of Fame and Museum on the shores of Lake Erie. Wow, what a trip back into time. All those albums I once owned, played so many many times, and lost along the way were there, in word, artifact, photo, video and sound.

The building is sort of weird looking with those angled wings. This is the best view I think with the gigantic atrium featured.

Inside view of the atrium features huge things, like these British autos suspended. Not sure, I think these are from a U2 video. Roger Watter's (Pink Floyd) Wall is also there. ("teacher, leave those kids alone!")

Some interesting artifacts include John Lennon's outfit from Sgt. Pepper's Lonely Hearts Club album cover, Mick Jagger's Union Jack/American flag cape, and Jim Morrison's cub scout uniform. By the way he was a model child!

There was so much in the museum, we have to definitely return on our next swing though Ohio. One feature I really enjoyed was the Hall of Fame Jukebox. It was a listening station with headphones like at Best Buy, only you could access any member's total musical output, sorted by album, song or year. Ellen had to almost tear me away. One area of the museum had installations by 'era'--Grunge, British invasion, etc., full of video and photos, along with posters and rock historical objects. There also was an excellent exhibit about the roots of R & R--hillbilly, blues, etc.

There were several guitars in the entry area, decorated for theme or specific artist.

This is a must see attraction for anyone interested in music!!!!